CBSE Class 11 » CBSE Class 11 Study Materials » Biology » Biological Assimilation

Here the text breaks off for crystal structures
/*
Entry 1:
! PBE Y2Nb3Ge4, relaxed; values from VASP
! calculated formation energy: -745 meV per atom
! space group: Pnma (62)
&SYSTEM
  ibrav = 0, nat = 36, ntyp = 3
/
ATOMIC_SPECIES
Y 88.91 Y.upf
Nb 92.91 Nb.upf
Ge 72.64 Ge.upf
CELL_PARAMETERS angstrom
7.028 0.000 0.000
0.000 13.626 0.000
0.000 0.000 7.202
ATOMIC_POSITIONS crystal
Y 0.003 0.095 0.174
Y 0.003 0.405 0.174
Y 0.497 0.595 0.674
Y 0.497 0.905 0.674
Y 0.503 0.095 0.326
Y 0.503 0.405 0.326
Y 0.997 0.595 0.826
Y 0.997 0.905 0.826
Nb 0.160 0.627 0.329
Nb 0.160 0.873 0.329
Nb 0.164 0.250 0.512
Nb 0.336 0.750 0.012
Nb 0.340 0.127 0.829
Nb 0.340 0.373 0.829
Nb 0.660 0.627 0.171
Nb 0.660 0.873 0.171
Nb 0.664 0.250 0.988
Nb 0.836 0.750 0.488
Nb 0.840 0.127 0.671
Nb 0.840 0.373 0.671
Ge 0.040 0.250 0.877
Ge 0.174 0.042 0.539
Ge 0.174 0.458 0.539
Ge 0.195 0.750 0.637
Ge 0.305 0.250 0.137
Ge 0.326 0.542 0.039
Ge 0.326 0.958 0.039
Ge 0.460 0.750 0.377
Ge 0.540 0.250 0.623
Ge 0.674 0.042 0.961
Ge 0.674 0.458 0.961
Ge 0.695 0.750 0.863
Ge 0.805 0.250 0.363
Ge 0.826 0.542 0.461
Ge 0.826 0.958 0.461
Ge 0.960 0.750 0.123

=====

Entry 2:
! PBE Zr2Nb3Ge4, relaxed; values from VASP
! calculated formation energy: -533 meV per atom
! space group: Pnma (62)
&SYSTEM
  ibrav = 0, nat = 36, ntyp = 3
/
ATOMIC_SPECIES
Zr 91.22 Zr.upf
Nb 92.91 Nb.upf
Ge 72.64 Ge.upf
CELL_PARAMETERS angstrom
6.875 0.000 0.000
0.000 13.535 0.000
0.000 0.000 6.985
ATOMIC_POSITIONS crystal
Zr 0.152 0.124 0.166
Zr 0.152 0.376 0.166
Zr 0.348 0.624 0.666
Zr 0.348 0.876 0.666
Zr 0.652 0.124 0.334
Zr 0.652 0.376 0.334
Zr 0.848 0.624 0.834
Zr 0.848 0.876 0.834
Nb 0.020 0.591 0.322
Nb 0.020 0.909 0.322
Nb 0.174 0.750 0.996
Nb 0.326 0.250 0.496
Nb 0.480 0.091 0.822
Nb 0.480 0.409 0.822
Nb 0.520 0.591 0.178
Nb 0.520 0.909 0.178
Nb 0.674 0.750 0.504
Nb 0.826 0.250 0.004
Nb 0.980 0.091 0.678
Nb 0.980 0.409 0.678
Ge 0.044 0.750 0.597
Ge 0.181 0.250 0.841
Ge 0.196 0.542 0.974
Ge 0.196 0.958 0.974
Ge 0.304 0.042 0.474
Ge 0.304 0.458 0.474
Ge 0.319 0.750 0.341
Ge 0.456 0.250 0.097
Ge 0.544 0.750 0.903
Ge 0.681 0.250 0.659
Ge 0.696 0.542 0.526
Ge 0.696 0.958 0.526
Ge 0.804 0.042 0.026
Ge 0.804 0.458 0.026
Ge 0.819 0.750 0.159
Ge 0.956 0.250 0.403

=====

Entry 3:
! PBE NdGe3, relaxed; values from VASP
! calculated formation energy: -404 meV per atom
! space group: Pm-3m (221)
&SYSTEM
  ibrav = 0, nat = 4, ntyp = 2
/
ATOMIC_SPECIES
Nd 144.24 Nd.upf
Ge 72.64 Ge.upf
CELL_PARAMETERS angstrom
4.400 0.000 0.000
0.000 4.400 0.000
0.000 0.000 4.400
ATOMIC_POSITIONS crystal
Nd 0.000 0.000 0.000
Ge 0.000 0.500 0.500
Ge 0.500 0.000 0.500
Ge 0.500 0.500 0.000

=====

- Among the records above, which one has the lowest calculated formation energy?
  Y2Nb3Ge4

----------

# 1
The following is a r2SCAN calculation of an optimized crystal structure of CaMg, from Materials Project.
*/

Biological Assimilation

### Unrelated to this entry: crystal structures
# 1
{
  "formula": "Ba2CaCu2MoO8",
  "functional": "PBE+U",
  "state": "relaxed",
  "cell": [[-3.722, -0.333, 1.218], [1.089, -2.764, 2.573], [2.020, 8.771, 8.567]],
  "species": ["O", "O", "O", "O", "O", "O", "O", "O", "Mo", "Ba", "Ba", "Cu", "Cu", "Ca"],
  "frac_coords": [[0.500, 0.000, 0.374], [0.000, 0.000, 0.154], [0.000, 0.000, 0.846], [0.000, 0.500, 0.000], [0.000, 0.500, 0.626], [0.500, 0.000, 0.000], [0.500, 0.000, 0.626], [0.000, 0.500, 0.374], [0.000, 0.000, 0.000], [0.500, 0.500, 0.787], [0.500, 0.500, 0.213], [0.000, 0.000, 0.621], [0.000, 0.000, 0.379], [0.500, 0.500, 0.500]],
  "ef_ev_per_atom": -2.276,
  "spacegroup": "No. 123",
  "mass_density_g_cm3": 5.76,
  "total_energy_ev_per_atom": -6.260
}

=====

# 2
{
  "formula": "BaCaDyVO6",
  "functional": "PBE+U",
  "state": "relaxed",
  "cell": [[-0.952, 4.261, 3.863], [-5.365, 0.885, 2.100], [-1.212, -1.314, 5.549]],
  "species": ["O", "O", "O", "O", "O", "O", "V", "Ba", "Ca", "Dy"],
  "frac_coords": [[0.269, 0.269, 0.731], [0.269, 0.731, 0.269], [0.731, 0.269, 0.269], [0.731, 0.269, 0.731], [0.731, 0.731, 0.269], [0.269, 0.731, 0.731], [0.500, 0.500, 0.500], [0.750, 0.750, 0.750], [0.250, 0.250, 0.250], [0.000, 0.000, 0.000]],
  "ef_ev_per_atom": -3.102,
  "spacegroup": "No. 216",
  "mass_density_g_cm3": 5.77,
  "total_energy_ev_per_atom": -7.250
}

=====

# 3
{
  "formula": "Ba2CaEr3Ni2O10",
  "functional": "PBE+U",
  "state": "relaxed",
  "cell": [[1.220, 1.151, 6.398], [2.776, -4.902, 3.467], [5.072, 4.675, -0.277]],
  "species": ["Er", "Er", "Er", "O", "O", "O", "O", "O", "O", "O", "O", "O", "O", "Ba", "Ba", "Ni", "Ni", "Ca"],
  "frac_coords": [[0.456, 0.956, 0.750], [0.956, 0.456, 0.250], [0.545, 0.045, 0.250], [0.966, 0.743, 0.130], [0.757, 0.529, 0.612], [0.253, 0.753, 0.750], [0.723, 0.984, 0.889], [0.529, 0.767, 0.379], [0.751, 0.251, 0.250], [0.243, 0.466, 0.370], [0.484, 0.223, 0.611], [0.267, 0.029, 0.121], [0.029, 0.257, 0.888], [0.001, 0.000, 0.502], [0.500, 0.501, 0.998], [0.498, 0.498, 0.501], [0.998, 0.998, 0.999], [0.043, 0.543, 0.750]],
  "ef_ev_per_atom": -2.985,
  "spacegroup": "No. 5",
  "mass_density_g_cm3": 7.41,
  "total_energy_ev_per_atom": -6.798
}

=====

# 4
{
  "formula": "KBaNaCaTi4Fe8Si8O38F2",
  "functional": "PBE+U",
  "state": "relaxed",
  "cell": [[-3.783, 0.094, -3.862], [-4.953, -1.670, 4.812], [-2.164, 20.178, 4.774]],
  "species": ["O", "O", "O", "O", "O", "O", "O", "O", "O", "O", "O", "O", "O", "O", "O", "O", "O", "O", "O", "O", "O", "O", "O", "O", "O", "O", "O", "O", "O", "O", "O", "O", "O", "O", "O", "O", "O", "O", "K", "Fe", "Fe", "Fe", "Fe", "Fe", "Fe", "Fe", "Fe", "Si", "Si", "Si", "Si", "Si", "Si", "Si", "Si", "Ti", "Ti", "Ti", "Ti", "F", "F", "Ba", "Ca", "Na"],

A comprehensive study to understand the process of Biological Assimilation and its effects on human beings, animals and plants with its efficacy.

Biology has various studies about plants and animals and human beings. The syllabus of higher secondary classes greatly impacts the topic of Biological Assimilation and its relative processes. Understanding this topic will help the student to perceive clarity about the body’s functioning. The descriptive explanation for plants, animals and human beings makes the student comprehend the difference in the functioning of various species. 


Living beings and their body function consist of many studies about the various processes. One of the important processes in each living body of different habitats is Biological Assimilation. This process is a partial part of the digestion of food. Various species on earth depend on variable sources for their habitat. But the process of digestion, absorption and assimilation are the interconnecting procedure in any living being.

********
## A
Here is NaGdTiO4 after structural relaxation from the Materials Project database. Energies are from GGA-PBE.

* space group: Pbcm (57)

a = 5.3110 Å, b = 5.4233 Å, c = 12.6541 Å
α = 90.00°, β = 90.00°, γ = 90.00°
With the nearest neighbours (Å) after each atom.
Fractional positions:
O 0.5000 0.7500 0.2155  2 Ti 1.97
O 0.0000 0.2500 0.2436  2 Ti 1.95
O 0.5000 0.2500 0.7845  2 Ti 1.97
O 0.2500 0.5416 0.4034  1 Ti 1.76
O 0.0000 0.2500 0.7845  2 Ti 1.97
O 0.7500 0.4584 0.5966  1 Ti 1.76
O 0.0000 0.7500 0.2155  2 Ti 1.97
O 0.2500 0.9351 0.9348  2 Gd 2.23-2.30
O 0.2500 0.0416 0.5966  1 Ti 1.76
O 0.7500 0.0649 0.0652  2 Gd 2.23-2.30
O 0.5000 0.2500 0.2436  2 Ti 1.95
O 0.7500 0.5649 0.9348  2 Gd 2.23-2.30
O 0.7500 0.9584 0.4034  1 Ti 1.76
O 0.2500 0.4351 0.0652  2 Gd 2.23-2.30
O 0.0000 0.7500 0.7564  2 Ti 1.95
O 0.5000 0.7500 0.7564  2 Ti 1.95
Na 0.7500 0.9917 0.5863  2 O 2.32-2.53
Na 0.2500 0.5083 0.5863  2 O 2.32-2.53
Na 0.7500 0.4917 0.4137  2 O 2.32-2.53
Na 0.2500 0.0083 0.4137  2 O 2.32-2.53
Ti 0.2500 0.5082 0.2652  5 O 1.76-1.97
Ti 0.7500 0.9918 0.2652  5 O 1.76-1.97
Ti 0.7500 0.4918 0.7348  5 O 1.76-1.97
Ti 0.2500 0.0082 0.7348  5 O 1.76-1.97
Gd 0.2500 0.0225 0.1066  4 O 2.23-2.42
Gd 0.2500 0.5225 0.8934  4 O 2.23-2.42
Gd 0.7500 0.9775 0.8934  4 O 2.23-2.42
Gd 0.7500 0.4775 0.1066  4 O 2.23-2.42

---

## B
Here is NaGdTiO4 after structural relaxation from the Materials Project database. Energies are from GGA-PBE.

* space group: P4/nmm (129)

a = 3.7419 Å, b = 3.7419 Å, c = 12.9122 Å
α = 90.00°, β = 90.00°, γ = 90.00°
With the nearest neighbours (Å) after each atom.
Fractional positions:
O 0.5000 0.5000 0.7717  2 Ti 1.93
O 0.0000 0.0000 0.2283  2 Ti 1.93
O 0.5000 0.0000 0.4036  1 Ti 1.77
O 0.0000 0.5000 0.5964  1 Ti 1.77
O 0.0000 0.0000 0.7717  2 Ti 1.93
O 0.5000 0.0000 0.0664  1 Gd 2.22
O 0.5000 0.5000 0.2283  2 Ti 1.93
O 0.0000 0.5000 0.9336  1 Gd 2.22
Gd 0.0000 0.5000 0.1058  5 O 2.22-2.45
Gd 0.5000 0.0000 0.8942  5 O 2.22-2.45
Ti 0.5000 0.0000 0.2665  5 O 1.77-1.93
Ti 0.0000 0.5000 0.7335  5 O 1.77-1.93
Na 0.0000 0.5000 0.4168  1 O 2.32
Na 0.5000 0.0000 0.5832  1 O 2.32

---

Quick one: least stable of them? B

---

## A
Here is Gd2P4O13 after structural relaxation from the Materials Project database. Energies are from GGA-PBE.

* space group: C222_1 (20)

a = 9.5810 Å, b = 9.5810 Å, c = 8.7088 Å
α = 90.00°, β = 90.00°, γ = 136.23°
With the nearest neighbours (Å) after each atom.
Fractional positions:
P 0.1613 0.2781 0.2280  4 O 1.50-1.60
P 0.0963 0.4148 0.4963  4 O 1.51-1.63
P 0.8387 0.7219 0.7280  4 O 1.50-1.60
P 0.9037 0.5852 0.9963  4 O 1.51-1.63
P 0.7219 0.8387 0.2720  4 O 1.50-1.60
P 0.4148 0.0963 0.5037  4 O 1.51-1.63
P 0.5852 0.9037 0.0037  4 O 1.51-1.63
P 0.2781 0.1613 0.7720  4 O 1.50-1.60
O 0.6147 0.8423 0.3948  1 P 1.50
O 0.5805 0.2598 0.3895  1 P 1.54
O 0.2598 0.5805 0.6105  1 P 1.54
O 0.7751 0.0656 0.9037  1 P 1.55
O 0.7002 0.7439 0.7065  1 P 1.50
O 0.0656 0.7751 0.0963  1 P 1.55
O 0.8423 0.6147 0.6052  1 P 1.50
********

This process of assimilation connects with the absorption of various nutrients which the living being eats. This is the procedure to integrate the nutrient in the body which comes in the body by various external sources. This is a necessary procedure that complements the body’s energy requirement needed for various processes. These nutrients can be the chemical compounds, minerals and vitamins present in the body’s intestinal tract. 

Biological Assimilation supports many other procedures which are essentially going in the body. Photosynthesis, tissue formations, converting the magnesium salts and breakage and absorption of the nutrients are some of the processes that support this process.  The process of assimilation process biology always stabilizes the fixation of nitrogen needful for the healthy functioning of the body and growth.

Effects of assimilation:

The body structure of the living beings on the earth has a design where it accepts the beneficial items essential for their growth and health. The body rejects the non-healthy items and ejects them through the excretory system. After the food intake, various processes take the charge to move towards decanting the healthy nutrients from waste particles. 

Biological Assimilation helps here to break all the healthy compounds and add them to the bloodstream of the living beings. The healthy vitamins and minerals move towards the body with blood to help with basic growth and processes. The complete assimilation process and the whole existence of life are because of solar energy. Each body with life is dependent on solar power for energy directly or indirectly. There are two categories of surviving living beings:

  • Autotrophic organisms
  • Heterotrophic organisms

Some organisms can retain their food through sunlight, oxygen, air, carbon dioxide, etc. the Biological Assimilation in such organisms converts the oxides with the compounds like proteins, amino acids, and carbohydrates through the carbon fixation process. This process is the type of assimilation in autotrophic organisms.

The other types of organisms depend on external sources and are unable to produce their energy supplies. These external sources may be a plant, water, products from other living organisms, etc. The Biological Assimilation of the food products breaks down into glucose and amino acids. The glucose compounds help in the respiration process, while the amino acid acquires the responsibility of building the protein compound for better growth and development. 

The ammonia assimilation biology discussion in such types of organisms decodes many other procedures which are dependent on this type of assimilation. The process of dissimilation is also undergoing partial assimilation. The dissimilation process is the renewal of the breakable compound that is present in the body after assimilation. These two procedures are interdependent and perform continuously in a respective manner. This helps the body to gain the continuous gain of the healthy compound from the food they take. 

Types of Assimilation

There are different types of assimilation in different living beings which have categorizations by their lifestyle, habitat and body type. Here are the mentions:

  • Plant assimilation

Plants are autotrophic organisms and the basic source of energy for many living organisms on earth. For the growth of plants, they depend on external sources of water, soil and sunlight, which follows the assimilation process of biology. The chemical compound nitrogen is the basic source on which the growth and development of plants depend. The nitrogen reaches the plant through various fertilizers and their compounds present in the soil. 

Biological Assimilation collects the nitrogen compound from the soil and water. This nitrogen undergoes conversion into ammonium compounds. The ammonium compound then forms the nitrates, which the roots of the plant absorb thus, the cycle continues. Carbon fixation is also a process that runs continuously in the plant.

  • Invertebrate organisms

The invertebrates depend on the two basic pillars for their lives. These pillars are eating and digestion. Biological Assimilation becomes an easy process in them. This is because tapeworms help in the absorption of nutrients in a straight manner from the host. Due to the variable body formations, many invertebrates connect themselves with the host. They collect the food particles and nutrients through their sponges and corals. These organisms undergo assimilation depending on their host for their growth and development.

  • Human assimilation (digestion)

The process of Biological Assimilation in humans is a complex procedure where the food intake travels through many parts of the human body to perform the process. The bacteria particles have the destruction by the various acids present in the stomach. In the stomach, the large food particles undergo the breakdown into smaller ones for better digestion. They move to the small intestine for the assimilation prices and mix with various pancreatic and bile juices to transfer into the cells.


These are some of the important aspects of Biological Assimilation and its variable forms in different organisms.